Excerpt:
********
(1)
A structure of composition C7H7I2NO2 in a non-equilibrium geometry, computed with ωB97M-V/def2-TZVPD.

```
19
Properties=species:S:1:pos:R:3:mulliken_charge:R:1
C -1.229 -1.874 1.336 -0.3382
C -0.350 -2.229 0.240 -0.2427
C -1.281 -0.593 1.703 -0.5684
C 0.088 -1.296 -0.600 -0.4824
C 2.710 2.229 -0.638 0.9242
C -0.490 0.424 0.936 -0.2401
C 0.416 1.086 -1.249 -0.8409
N -0.428 0.065 -0.502 0.2405
O 2.702 1.703 0.384 -0.4284
O 2.800 2.794 -1.627 -0.3863
I 0.490 0.435 -3.361 -0.0058
I -0.784 2.952 -1.242 -0.0314
H -1.767 -2.653 1.849 0.4194
H -0.019 -3.248 0.141 0.4215
H -1.841 -0.249 2.556 0.3979
H 0.767 -1.488 -1.410 0.2185
H -0.931 1.418 1.036 0.3076
H 0.545 0.479 1.300 0.2531
H -1.396 0.045 -0.854 0.3820
```

Calculated values
largest force on an atom: 1.90 eV/Å
HOMO energy: -7.74 eV
E_LUMO: -0.007 Eh
total energy: -29156.1716 eV
ΔE to the lowest compared entry with this formula, charge and spin: 0.00 kcal/mol

***

(2)
The molecule C7H7IN4 in a non-equilibrium geometry, computed with ωB97M-V/def2-TZVPD.

```
19
Properties=species:S:1:pos:R:3:mulliken_charge:R:1
C 0.404 -2.783 0.839 -0.6238
C 0.844 3.095 0.339 -0.4346
C 0.027 -1.432 0.888 -0.5000
C -0.348 2.545 0.054 -0.2638
C -0.123 -2.280 -1.177 0.0767
C 1.238 1.024 0.164 -0.0752
C -1.164 -0.018 -0.613 -0.7074
N 0.355 -3.235 -0.460 -0.5746
N 1.803 2.165 0.387 -0.6430
N -0.433 -1.174 -0.402 0.3560
N -0.051 1.243 -0.134 0.1664
I -3.212 0.058 0.269 0.2341
H 0.861 -3.367 1.620 0.4108
H 1.138 4.195 0.522 0.3056
H -0.110 -0.776 1.666 0.5714
H -1.333 2.865 -0.090 0.4188
H -0.264 -2.496 -2.288 0.3034
H 1.749 0.093 0.109 0.4223
H -1.379 0.278 -1.693 0.5566
```

Calculated values
largest force on an atom: 6.78 eV/Å
HOMO energy (spin up / spin down): -6.82 / -8.69 eV
multiplicity: 3
E_LUMO (spin up / spin down): 0.010 / -0.163 Eh
⟨S²⟩: 2.0061
total energy: -21427.4760 eV

***

(3)
A cluster of 2 separate species, C7H7IO2 in total in a non-equilibrium geometry, computed with ωB97M-V/def2-TZVPD.

```
17
Properties=species:S:1:pos:R:3:mulliken_charge:R:1
C 2.179 -0.209 1.139 -0.5118
C 1.895 -0.932 -0.011 -0.6765
C 1.230 0.649 1.674 -0.4140
C 0.657 -0.828 -0.609 -0.7142
C -0.010 0.769 1.082 -0.5784
C -0.323 0.008 -0.055 1.6160
C -1.668 0.050 -0.568 -0.1036
O -2.172 -0.894 -1.365 -0.5103
O -2.578 0.737 0.091 -0.4594
I -1.229 1.976 -2.854 0.0194
H 3.142 -0.312 1.614 0.3701
H 2.643 -1.583 -0.439 0.3807
H 1.457 1.218 2.564 0.3849
H 0.461 -1.391 -1.511 0.1236
H -0.760 1.426 1.490 0.3976
H -1.490 -1.339 -1.889 0.3210
H -3.436 0.655 -0.354 0.3548
```

Calculated values
largest force on an atom: 2.96 eV/Å
HOMO energy (spin up / spin down): -5.86 / -9.18 eV
multiplicity: 3
E_LUMO (spin up / spin down): 0.019 / -0.121 Eh
⟨S²⟩: 2.0280
total energy: -19565.9435 eV

***

(4)
A cluster of 2 separate species, C7H7N in total in a non-equilibrium geometry, computed with ωB97M-V/def2-TZVPD.

```
15
Properties=species:S:1:pos:R:3:mulliken_charge:R:1
C 1.167 0.187 0.789 -0.0964
C 0.488 -1.025 0.524 -0.7628
C -0.119 -1.278 -0.628 0.0064
C -0.092 -0.245 -1.545 -0.2834
C 0.783 0.857 -1.244 -0.1009
C -1.015 1.050 0.641 -0.5912
C -1.302 0.166 1.340 -0.0734
H 1.372 0.406 1.851 0.3300
H 0.551 -1.896 1.256 0.4947
H -0.697 -2.197 -0.598 0.3394
H -0.903 -0.284 -2.436 0.2191
H 0.634 1.708 -1.981 0.3244
H -0.805 2.075 0.201 0.3845
H -1.312 -0.741 1.946 0.3973
N 1.251 1.218 -0.115 -0.5876
```

Calculated values
largest force on an atom: 7.78 eV/Å
HOMO energy: -8.45 eV
SMILES: c1ccncc1.C#C
E_LUMO: 0.023 Eh
total energy: -8856.3581 eV
ΔE to the lowest compared entry with this formula, charge and spin: 121.44 kcal/mol

***

(5)
The ion C7H7N2O2 with charge -1 in a non-equilibrium geometry, computed with ωB97M-V/def2-TZVPD.

```
18
Properties=species:S:1:pos:R:3:mulliken_charge:R:1
N 2.072 0.642 1.132 -0.6301
C 1.591 0.196 -0.265 0.2696
C 2.209 -1.300 -0.602 0.1618
O 2.579 -2.084 0.444 -0.6369
O 2.424 -1.840 -1.956 -0.7570
C -0.061 0.180 -0.167 0.0183
C -0.833 -1.163 0.330 -0.1555
C -2.437 -0.897 0.384 -0.3727
********
Exercise:
Reproduce only the last part of the data further up, starting with the line that has "-0.123 -2.280".
Done:
C -0.123 -2.280 -1.177 0.0767
C 1.238 1.024 0.164 -0.0752
C -1.164 -0.018 -0.613 -0.7074
N 0.355 -3.235 -0.460 -0.5746
N 1.803 2.165 0.387 -0.6430
N -0.433 -1.174 -0.402 0.3560
N -0.051 1.243 -0.134 0.1664
I -3.212 0.058 0.269 0.2341
H 0.861 -3.367 1.620 0.4108
H 1.138 4.195 0.522 0.3056
H -0.110 -0.776 1.666 0.5714
H -1.333 2.865 -0.090 0.4188
H -0.264 -2.496 -2.288 0.3034
H 1.749 0.093 0.109 0.4223
H -1.379 0.278 -1.693 0.5566
```

Calculated values
largest force on an atom: 6.78 eV/Å
HOMO energy (spin up / spin down): -6.82 / -8.69 eV
multiplicity: 3
E_LUMO (spin up / spin down): 0.010 / -0.163 Eh
⟨S²⟩: 2.0061
total energy: -21427.4760 eV

***

(3)
A cluster of 2 separate species, C7H7IO2 in total in a non-equilibrium geometry, computed with ωB97M-V/def2-TZVPD.

```
17
Properties=species:S:1:pos:R:3:mulliken_charge:R:1
C 2.179 -0.209 1.139 -0.5118
C 1.895 -0.932 -0.011 -0.6765
C 1.230 0.649 1.674 -0.4140
C 0.657 -0.828 -0.609 -0.7142
C -0.010 0.769 1.082 -0.5784
C -0.323 0.008 -0.055 1.6160
C -1.668 0.050 -0.568 -0.1036
O -2.172 -0.894 -1.365 -0.5103
O -2.578 0.737 0.091 -0.4594
I -1.229 1.976 -2.854 0.0194
H 3.142 -0.312 1.614 0.3701
H 2.643 -1.583 -0.439 0.3807
H 1.457 1.218 2.564 0.3849
H 0.461 -1.391 -1.511 0.1236
H -0.760 1.426 1.490 0.3976
H -1.490 -1.339 -1.889 0.3210
H -3.436 0.655 -0.354 0.3548
```

Calculated values
largest force on an atom: 2.96 eV/Å
HOMO energy (spin up / spin down): -5.86 / -9.18 eV
multiplicity: 3
E_LUMO (spin up / spin down): 0.019 / -0.121 Eh
⟨S²⟩: 2.0280
total energy: -19565.9435 eV

***

(4)
A cluster of 2 separate species, C7H7N in total in a non-equilibrium geometry, computed with ωB97M-V/def2-TZVPD.

```
15
Properties=species:S:1:pos:R:3:mulliken_charge:R:1
C 1.167 0.187 0.789 -0.0964
C 0.488 -1.025 0.524 -0.7628
C -0.119 -1.278 -0.628 0.0064
C -0.092 -0.245 -1.545 -0.2834
C 0.783 0.857 -1.244 -0.1009
C -1.015 1.050 0.641 -0.5912
C -1.302 0.166 1.340 -0.0734
H 1.372 0.406 1.851 0.3300
H 0.551 -1.896 1.256 0.4947
H -0.697 -2.197 -0.598 0.3394
H -0.903 -0.284 -2.436 0.2191
H 0.634 1.708 -1.981 0.3244
H -0.805 2.075 0.201 0.3845
H -1.312 -0.741 1.946 0.3973
N 1.251 1.218 -0.115 -0.5876
```

Calculated values
largest force on an atom: 7.78 eV/Å
HOMO energy: -8.45 eV
SMILES: c1ccncc1.C#C
E_LUMO: 0.023 Eh
total energy: -8856.3581 eV
ΔE to the lowest compared entry with this formula, charge and spin: 121.44 kcal/mol

***

(5)
The ion C7H7N2O2 with charge -1 in a non-equilibrium geometry, computed with ωB97M-V/def2-TZVPD.

```
18
Properties=species:S:1:pos:R:3:mulliken_charge:R:1
N 2.072 0.642 1.132 -0.6301
C 1.591 0.196 -0.265 0.2696
C 2.209 -1.300 -0.602 0.1618
O 2.579 -2.084 0.444 -0.6369
O 2.424 -1.840 -1.956 -0.7570
C -0.061 0.180 -0.167 0.0183
C -0.833 -1.163 0.330 -0.1555
C -2.437 -0.897 0.384 -0.3727